Exercise >
Now set down the lines further down up to the one that holds "1.753 -1.130", that line included.
Data >
+++
(1)
The following is a quantum chemistry calculation of a single C4H3F5O molecule at a distorted geometry, from the Open Molecules 2025 dataset.

The geometry in XYZ format:
```
13
C4H3F5O, DFT ωB97M-V/def2-TZVPD
F 1.058 -1.010 1.795
F -2.224 1.204 0.755
F 1.281 1.107 1.934
F -2.098 -1.000 0.973
F 1.054 1.418 -0.846
O 1.622 -0.784 -0.939
C 0.752 0.173 -0.381
C -1.471 0.086 0.519
C 0.740 0.179 1.186
C -0.702 -0.127 -0.769
H 2.128 -0.360 -1.623
H -1.215 0.383 -1.517
H -0.925 -1.271 -1.087
```

Its HOMO energy is -8.85 eV. Its total energy is -19828.04760 eV. The value obtained for the relative energy (zero: lowest compared OMol25 entry of this formula, charge and spin) is 42.4 kcal per mole. The orbital gap comes out at 9.25 eV. The spin multiplicity is 1. The value obtained for the LUMO energy is 0.403 eV.


(2)
The following is a quantum chemistry calculation of a molecular structure, C6HMoO6 at a distorted geometry, from the Open Molecules 2025 dataset.

The geometry in XYZ format:
```
14
C6HMoO6, DFT ωB97M-V/def2-TZVPD
Mo -0.484 0.738 0.242
O -1.669 4.049 -0.205
O 3.568 -2.393 -2.939
O 2.561 1.012 1.026
O -1.463 -0.939 -2.267
O -0.798 -2.087 1.471
O -2.435 0.670 2.734
C -1.716 0.695 1.815
C -0.222 -1.313 0.737
C 2.840 -2.446 -2.060
C 1.434 0.930 0.730
C -1.100 -0.313 -1.350
C -1.237 2.994 -0.121
H 0.721 -1.598 0.186
```

Its HOMO energy (alpha / beta) is -22.39 / -22.82 eV. Its total energy is -20334.60760 eV. Its total charge is +3. The orbital gap (alpha / beta) comes out at 3.53 / 4.36 eV. The spin multiplicity is 3. The value obtained for the LUMO energy (alpha / beta) is -18.860 / -18.458 eV.


(3)
The following is a quantum chemistry calculation of a gas-phase ion, C26H52Cl2N4O5PS (charge +1) at a distorted geometry, from the Open Molecules 2025 dataset.

The geometry in XYZ format:
```
91
C26H52Cl2N4O5PS, DFT ωB97M-V/def2-TZVPD
Cl 3.142 -2.600 2.993
Cl 8.021 -0.068 4.734
S 6.428 1.215 4.149
P -2.710 -0.638 0.217
O 0.828 -3.733 2.355
O 6.651 2.678 4.698
O 6.422 1.249 2.589
O -5.391 2.041 -3.770
O 2.791 -0.089 -5.126
N 4.067 -1.905 -3.883
N -0.171 -2.270 0.551
N 0.644 -1.235 2.752
N -1.532 -0.471 1.590
C -0.392 -1.229 1.669
C -4.147 1.957 2.102
C 2.034 -3.257 -0.586
C 2.086 0.392 4.292
C -5.999 1.196 -1.358
C 1.250 -2.548 3.074
C -5.425 2.296 -0.250
C -2.526 0.850 -2.382
C 3.347 -2.727 -1.476
C 4.999 0.741 -4.154
C -1.852 0.529 2.678
C -0.161 -3.561 1.318
C 4.788 0.550 4.870
C 3.510 1.241 4.106
C -3.480 0.720 2.947
C 3.894 -0.472 -4.423
C 1.553 -0.047 2.767
C -6.460 1.914 -2.764
C -5.500 1.575 1.258
C -3.921 -2.891 1.777
C 1.059 -1.990 -0.253
C -1.836 -0.331 -1.457
C 2.903 -2.144 -2.944
C -5.478 0.949 -4.773
C 3.800 -2.858 -5.059
C -3.579 -2.355 0.267
H -0.746 0.075 -1.189
H -5.771 -0.079 -4.241
H -4.358 0.779 -5.148
H 3.787 -3.958 -4.626
H -4.112 -0.238 2.718
H -5.087 -2.932 2.023
H -3.536 -4.018 1.847
H 2.377 -0.593 4.887
H -2.963 -3.150 -0.351
H 3.815 1.352 2.959
H -5.244 0.309 -1.484
H -7.335 1.314 -3.266
H 1.469 -4.048 -1.242
H -2.620 1.800 -1.702
H -4.625 -2.239 -0.293
H -3.376 -2.313 2.639
H -1.745 -1.308 -2.128
H 1.027 -2.758 4.230
H -1.471 1.586 2.277
H -1.718 1.114 -3.218
H -6.974 0.727 -0.854
H 4.731 0.836 6.024
H 2.108 -2.894 -3.382
H -3.314 2.455 1.447
H 0.694 -1.559 -1.305
H 4.162 -3.593 -1.594
H 5.841 0.665 -4.968
H 4.450 1.774 -4.318
H 2.367 -1.114 -2.765
H 3.846 -1.866 -0.846
H -6.013 3.310 -0.296
H -5.684 0.426 1.109
H 5.382 0.709 -3.049
H -4.302 2.508 -0.507
H 4.621 -2.704 -5.897
H 1.753 -1.130 0.198
H 4.797 -0.615 4.746
H 0.894 0.890 2.427
H -6.444 2.083 1.778
H 2.525 -3.766 0.376
H -3.534 0.463 -2.832
H -6.812 3.010 -2.476
H -6.184 1.201 -5.682
H -3.622 0.948 4.103
H 2.438 -0.069 1.975
H -4.467 2.774 2.909
H 2.710 -2.676 -5.509
H -1.349 0.287 3.721
H -0.123 -4.528 0.619
H 1.313 1.051 4.873
H 3.353 2.356 4.493
H -1.233 -3.636 1.842
```
+++
Result >
(1)
The following is a quantum chemistry calculation of a single C4H3F5O molecule at a distorted geometry, from the Open Molecules 2025 dataset.

The geometry in XYZ format:
```
13
C4H3F5O, DFT ωB97M-V/def2-TZVPD
F 1.058 -1.010 1.795
F -2.224 1.204 0.755
F 1.281 1.107 1.934
F -2.098 -1.000 0.973
F 1.054 1.418 -0.846
O 1.622 -0.784 -0.939
C 0.752 0.173 -0.381
C -1.471 0.086 0.519
C 0.740 0.179 1.186
C -0.702 -0.127 -0.769
H 2.128 -0.360 -1.623
H -1.215 0.383 -1.517
H -0.925 -1.271 -1.087
```

Its HOMO energy is -8.85 eV. Its total energy is -19828.04760 eV. The value obtained for the relative energy (zero: lowest compared OMol25 entry of this formula, charge and spin) is 42.4 kcal per mole. The orbital gap comes out at 9.25 eV. The spin multiplicity is 1. The value obtained for the LUMO energy is 0.403 eV.


(2)
The following is a quantum chemistry calculation of a molecular structure, C6HMoO6 at a distorted geometry, from the Open Molecules 2025 dataset.

The geometry in XYZ format:
```
14
C6HMoO6, DFT ωB97M-V/def2-TZVPD
Mo -0.484 0.738 0.242
O -1.669 4.049 -0.205
O 3.568 -2.393 -2.939
O 2.561 1.012 1.026
O -1.463 -0.939 -2.267
O -0.798 -2.087 1.471
O -2.435 0.670 2.734
C -1.716 0.695 1.815
C -0.222 -1.313 0.737
C 2.840 -2.446 -2.060
C 1.434 0.930 0.730
C -1.100 -0.313 -1.350
C -1.237 2.994 -0.121
H 0.721 -1.598 0.186
```

Its HOMO energy (alpha / beta) is -22.39 / -22.82 eV. Its total energy is -20334.60760 eV. Its total charge is +3. The orbital gap (alpha / beta) comes out at 3.53 / 4.36 eV. The spin multiplicity is 3. The value obtained for the LUMO energy (alpha / beta) is -18.860 / -18.458 eV.


(3)
The following is a quantum chemistry calculation of a gas-phase ion, C26H52Cl2N4O5PS (charge +1) at a distorted geometry, from the Open Molecules 2025 dataset.

The geometry in XYZ format:
```
91
C26H52Cl2N4O5PS, DFT ωB97M-V/def2-TZVPD
Cl 3.142 -2.600 2.993
Cl 8.021 -0.068 4.734
S 6.428 1.215 4.149
P -2.710 -0.638 0.217
O 0.828 -3.733 2.355
O 6.651 2.678 4.698
O 6.422 1.249 2.589
O -5.391 2.041 -3.770
O 2.791 -0.089 -5.126
N 4.067 -1.905 -3.883
N -0.171 -2.270 0.551
N 0.644 -1.235 2.752
N -1.532 -0.471 1.590
C -0.392 -1.229 1.669
C -4.147 1.957 2.102
C 2.034 -3.257 -0.586
C 2.086 0.392 4.292
C -5.999 1.196 -1.358
C 1.250 -2.548 3.074
C -5.425 2.296 -0.250
C -2.526 0.850 -2.382
C 3.347 -2.727 -1.476
C 4.999 0.741 -4.154
C -1.852 0.529 2.678
C -0.161 -3.561 1.318
C 4.788 0.550 4.870
C 3.510 1.241 4.106
C -3.480 0.720 2.947
C 3.894 -0.472 -4.423
C 1.553 -0.047 2.767
C -6.460 1.914 -2.764
C -5.500 1.575 1.258
C -3.921 -2.891 1.777
C 1.059 -1.990 -0.253
C -1.836 -0.331 -1.457
C 2.903 -2.144 -2.944
C -5.478 0.949 -4.773
C 3.800 -2.858 -5.059
C -3.579 -2.355 0.267
H -0.746 0.075 -1.189
H -5.771 -0.079 -4.241
H -4.358 0.779 -5.148
H 3.787 -3.958 -4.626
H -4.112 -0.238 2.718
H -5.087 -2.932 2.023
H -3.536 -4.018 1.847
H 2.377 -0.593 4.887
H -2.963 -3.150 -0.351
H 3.815 1.352 2.959
H -5.244 0.309 -1.484
H -7.335 1.314 -3.266
H 1.469 -4.048 -1.242
H -2.620 1.800 -1.702
H -4.625 -2.239 -0.293
H -3.376 -2.313 2.639
H -1.745 -1.308 -2.128
H 1.027 -2.758 4.230
H -1.471 1.586 2.277
H -1.718 1.114 -3.218
H -6.974 0.727 -0.854
H 4.731 0.836 6.024
H 2.108 -2.894 -3.382
H -3.314 2.455 1.447
H 0.694 -1.559 -1.305
H 4.162 -3.593 -1.594
H 5.841 0.665 -4.968
H 4.450 1.774 -4.318
H 2.367 -1.114 -2.765
H 3.846 -1.866 -0.846
H -6.013 3.310 -0.296
H -5.684 0.426 1.109
H 5.382 0.709 -3.049
H -4.302 2.508 -0.507
H 4.621 -2.704 -5.897
H 1.753 -1.130 0.198